
Brussels Taxi Hero Shows How We Stop Terror Attacks


A driver said to be of Moroccan heritage risked his life by leading police to the ISIS bomb factory in Brussels. He must become an inspiration for communities to unite against terror.

Photo Illustation by The Daily Beast

BRUSSELS — He saw something and he said something.

The cab driver who took three mass murderers to the Brussels airport on Tuesday thought the way they handled their baggage was weird. There were too many suitcases—very heavy suitcases. They said they’d ordered a van, but all he had was a sedan. According to some accounts, one suitcase had to be left behind. And they didn’t seem to want him to touch those bags.

Drivers get used to strange passengers, but when this one heard news that bombs had gone off at the airport, he went straight to the Belgian police and led them to the apartment where he’d picked up those three men with their heavy bags in the Schaarbeek neighborhood of Brussels.

The police search turned up a trove of bomb-making materials: 15 kilos of powerful TATP explosives made from raw materials common in beauty supply stores—acetone (nail polish remover) and hydrogen peroxide (hair bleach)—but in much greater quantities than the average vanity unit. There were 150 liters of acetone and 30 liters of peroxide: truly a bomb-making factory.

They also found a laptop thrown into a trashcan, and on it, according to prosecutors, was “the last will” of Ibrahim el Bakraoui, well known to police as a criminal and a thug, but not a jihadist. He said he was acting “in haste,” that he “no longer knew what to do,” that he was “hunted everywhere” and could “no longer be safe.”

Those snippets of his testament, released by the Belgian Federal Prosecutor on Wednesday afternoon, seemed to confirm the theory that a terrorist plot that had been taking shape for some time was suddenly rushed when Belgian and French police started closing in on Salah Abdeslam, a member of the terrorist cell that attacked Paris in November, killing 130 people.

“If they take too long, they risk winding up next to him in a cell,” wrote el Bakraoui. The prosecutors offered no more context than that.

With clues from the scenes of carnage and the mother lode of material at the bomb factory, authorities were able to identify Ibrahim el Bakraoui as the man in the middle in the now famous CCTV image of three men pushing trolleys through the Brussels airport, where he blew himself up. The other two, one of whom also died, and one of whom ran away, have not been identified.

Amid the gory scene at the Maelbeek metro station near the office buildings of the European Union, police were able to identify by a fingerprint the mangled corpse of Khalid el Bakraoui, Ibrahim’s brother.

One of the el Bakraouis reportedly rented the house where police officers were involved in a shootout that left one jihadi dead last week. DNA evidence from the property in the Forest neighborhood of Brussels showed that Abdeslam had been there. He was captured two days later.

The forensic dots between the atrocities in Brussels and in Paris began to connect.

'''
Material: InAg3P2O8
Method: DFT, PBE
State: relaxed

Output
The space-group type is C2/m, No. 12. The value obtained for the total magnetization is 0.0 μB/f.u. The energy relative to the elements is -1.858 eV per atom.

a = 5.235 Å, b = 5.235 Å, c = 7.457 Å
α = 86.46°, β = 86.46°, γ = 64.80°
Fractional positions:
In (0.000, 0.000, 0.000)
Ag (0.332, 0.332, 0.679)
Ag (0.668, 0.668, 0.321)
Ag (0.000, 0.000, 0.500)
P (0.661, 0.661, 0.791)
P (0.339, 0.339, 0.209)
O (0.244, 0.244, 0.393)
O (0.763, 0.763, 0.950)
O (0.670, 0.221, 0.203)
O (0.779, 0.330, 0.797)
O (0.237, 0.237, 0.050)
O (0.221, 0.670, 0.203)
O (0.330, 0.779, 0.797)
O (0.756, 0.756, 0.607)


Material: La4Ti5Te3O24
Method: DFT, PBE
State: relaxed

Output
The space-group type is P1, No. 1. The value obtained for the total magnetization is 0.0 μB/f.u. The energy relative to the elements is -3.078 eV per atom.

a = 7.423 Å, b = 7.424 Å, c = 10.529 Å
α = 109.98°, β = 110.39°, γ = 91.19°
Fractional positions:
La (0.001, 0.999, 0.005)
La (0.498, 0.503, 0.001)
La (0.997, 0.499, 0.493)
La (0.498, 0.996, 0.502)
Ti (0.095, 0.572, 0.170)
Ti (0.572, 0.101, 0.176)
Ti (0.078, 0.090, 0.672)
Ti (0.578, 0.572, 0.653)
Ti (0.413, 0.423, 0.338)
Te (0.916, 0.912, 0.331)
Te (0.909, 0.426, 0.838)
Te (0.418, 0.912, 0.833)
O (0.458, 0.330, 0.500)
O (0.955, 0.822, 0.490)
O (0.959, 0.333, 0.017)
O (0.454, 0.827, 0.994)
O (0.332, 0.141, 0.188)
O (0.827, 0.648, 0.188)
O (0.833, 0.117, 0.677)
O (0.324, 0.650, 0.685)
O (0.150, 0.459, 0.319)
O (0.647, 0.955, 0.313)
O (0.628, 0.465, 0.812)
O (0.151, 0.954, 0.815)
O (0.531, 0.667, 0.495)
O (0.038, 0.161, 0.494)
O (0.046, 0.681, 0.013)
O (0.537, 0.164, 0.997)
O (0.667, 0.353, 0.311)
O (0.167, 0.858, 0.320)
O (0.185, 0.341, 0.804)
O (0.667, 0.858, 0.818)
O (0.353, 0.539, 0.186)
O (0.860, 0.037, 0.189)
O (0.842, 0.554, 0.676)
O (0.364, 0.030, 0.688)


Material: Te16Rh9
Method: DFT, PBE
State: relaxed

Output
The space-group type is P-1, No. 2. The value obtained for the total magnetization is 0.0 μB/f.u. The energy relative to the elements is -0.393 eV per atom.

a = 15.995 Å, b = 11.956 Å, c = 8.835 Å
α = 42.12°, β = 47.36°, γ = 33.15°
Fractional positions:
Te (0.042, 0.206, 0.546)
Te (0.049, 0.700, 0.042)
Te (0.293, 0.197, 0.552)
Te (0.207, 0.297, 0.955)
Te (0.293, 0.703, 0.045)
Te (0.207, 0.803, 0.448)
Te (0.542, 0.209, 0.547)
Te (0.451, 0.300, 0.958)
Te (0.546, 0.702, 0.040)
Te (0.458, 0.794, 0.454)
Te (0.798, 0.207, 0.530)
Te (0.703, 0.296, 0.968)
Te (0.797, 0.704, 0.032)
Te (0.702, 0.793, 0.470)
Te (0.954, 0.298, 0.960)
Te (0.958, 0.791, 0.453)
Rh (0.250, 0.246, 0.254)
Rh (0.007, 0.750, 0.736)
Rh (0.493, 0.250, 0.264)
Rh (0.750, 0.000, 0.000)
Rh (0.250, 0.754, 0.746)
Rh (0.752, 0.242, 0.258)
Rh (0.499, 0.744, 0.752)
Rh (0.001, 0.256, 0.248)
Rh (0.748, 0.758, 0.742)


Material: SrPrEuSbO6
Method: DFT, PBE
State: relaxed

Output
'''

But that is little consolation amid fears that more ISIS terror cells are operating in Western Europe, and just biding their time before they hit again.

== Unrelated to this page: materials data ==
=====
Entry 1:
! RbH4O3, relaxed, DFT PBE; values from VASP
! E_form = -1.21 eV per atom
! Crystal system = orthorhombic
&SYSTEM
  ibrav = 0, nat = 32, ntyp = 3
/
ATOMIC_SPECIES
Rb 85.47 Rb.upf
H 1.01 H.upf
O 16.00 O.upf
CELL_PARAMETERS angstrom
0.000 7.058 5.290
5.307 0.000 5.290
5.307 7.058 0.000
ATOMIC_POSITIONS angstrom
Rb 5.315 5.172 5.290
Rb 7.953 8.701 7.935
Rb 5.299 8.944 5.290
Rb 7.969 12.473 7.935
H 4.990 4.150 2.073
H 3.228 4.123 0.348
H 4.786 2.886 3.059
H 2.079 2.934 0.348
H 4.902 6.380 2.151
H 8.483 6.415 5.704
H 8.279 7.679 4.718
H 5.713 7.735 2.151
H 3.059 2.851 4.796
H 0.318 2.908 2.073
H 0.522 4.172 3.059
H 2.248 4.206 4.796
H 2.336 6.437 4.718
H 5.882 6.463 8.284
H 4.733 7.652 8.284
H 2.132 7.701 5.704
O 4.233 5.237 1.090
O 3.728 1.708 3.735
O 1.074 1.821 1.090
O 5.307 7.058 2.778
O 7.798 7.054 5.350
O 7.961 10.587 5.423
O 10.451 10.591 7.995
O 1.580 5.350 3.735
O 5.307 7.058 7.707
O 2.817 7.062 5.350
O 7.961 10.587 10.352
O 5.471 10.583 7.995



Entry 2:
! Hf2OsPd, relaxed, DFT PBE; values from VASP
! E_form = -0.68 eV per atom
! Crystal system = cubic
&SYSTEM
  ibrav = 0, nat = 4, ntyp = 3
/
ATOMIC_SPECIES
Hf 178.49 Hf.upf
Os 190.23 Os.upf
Pd 106.42 Pd.upf
CELL_PARAMETERS angstrom
0.000 3.291 3.291
3.291 0.000 3.291
3.291 3.291 0.000
ATOMIC_POSITIONS angstrom
Hf 1.646 1.646 1.646
Hf 4.937 4.937 4.937
Os 0.000 0.000 0.000
Pd 3.291 3.291 3.291



Entry 3:
! LiNd6B3O13F2, relaxed, DFT PBE; values from VASP
! E_form = -3.59 eV per atom
! Crystal system = monoclinic
&SYSTEM
  ibrav = 0, nat = 50, ntyp = 5
/
ATOMIC_SPECIES
Li 6.94 Li.upf
Nd 144.24 Nd.upf
B 10.81 B.upf
O 16.00 O.upf
F 19.00 F.upf
CELL_PARAMETERS angstrom
6.087 -3.503 0.000
6.087 3.503 0.000
-4.090 0.000 15.666
ATOMIC_POSITIONS angstrom
Li 3.020 2.936 11.750
Li 5.065 -2.936 3.917
Nd -0.874 0.684 9.574
Nd -1.028 0.603 14.167
Nd 1.171 -0.684 1.741
Nd 1.017 -0.603 6.334
Nd 3.040 0.491 9.391
Nd 3.000 0.491 14.109
Nd 5.084 -0.491 1.558
Nd 5.045 -0.491 6.276
Nd 7.068 0.603 9.333
Nd 6.914 0.684 13.926
Nd 9.112 -0.603 1.500
Nd 8.959 -0.684 6.093
B 0.818 1.642 11.763
B 5.065 1.502 3.917
B 5.221 1.642 11.736
B 2.863 -1.642 3.930
B 3.020 -1.502 11.750
B 7.266 -1.642 3.903
O 1.305 1.923 10.476
O -0.365 0.962 11.869
O 1.501 2.058 12.896
O 5.084 2.197 2.704
O 3.028 0.589 0.941
O 5.045 2.197 5.130
O 4.538 2.058 10.604
O 3.016 0.570 6.912
O 0.983 -0.589 8.775
O 1.679 -0.962 4.036
O 4.734 1.923 13.023
O 0.971 -0.570 14.745
O 5.065 0.135 3.917
O 3.020 -0.135 11.750
O 7.113 0.570 0.921
O 3.350 -1.923 2.643
O 6.405 0.962 11.630
O 7.101 0.589 6.892
O 5.068 -0.570 8.755
O 3.546 -2.058 5.063
O 3.040 -2.197 10.537
O 5.056 -0.589 14.725
O 3.000 -2.197 12.963
O 6.583 -2.058 2.771
O 8.450 -0.962 3.797
O 6.779 -1.923 5.190
F 3.038 2.922 8.542
F 3.001 2.922 14.958
F 5.083 -2.922 0.708
F 5.046 -2.922 7.125



Entry 4:
! ThB6, relaxed, DFT PBE; values from VASP
! E_form = -0.49 eV per atom
! Crystal system = cubic
&SYSTEM
  ibrav = 0, nat = 7, ntyp = 2
/
ATOMIC_SPECIES
Th 232.04 Th.upf
B 10.81 B.upf
=====
== The materials data stop here ==

How to stop them?

That cab driver, and people like him, may hold the key. For obvious reasons, his name has not been leaked to the press, but according to sources in a position to know, he is, as many of the terrorists were, of Moroccan descent. But he volunteered information that has been critical to the ongoing investigation, and has helped it move along much more quickly than it might otherwise have done.

The challenge for European politicians and police, and indeed for Americans as well, is to encourage more people from Muslim and Arab communities to come forward when they see the first signs of suspicious activities.

When all Arabs and Muslims are vilified, isolated, pressured, intimidated and humiliated—the formula being preached in not-so-coded language by fear-mongering populists in Europe and the United States—they’re not going to be inclined to help investigators solve the crimes we have seen, or stop those that are to come.

“What we need to do is to understand what just happened and look ahead,” says Pieter Stockmans, who coauthored The Jihad Caravan, a book about Belgium and jihadism.

DFT (PBE) results for a relaxed structure of Cd3P2O8.

Computed properties:
Its crystal system is orthorhombic. For the relative energy among the computed polymorphs, the calculation gives 20 meV per atom. As for the total energy: -5.90 eV/atom.

Geometry as POSCAR:
```
Cd3P2O8
1.0
-7.817 -3.276 4.806
7.749 -4.560 3.754
0.822 5.694 5.218
Cd P O
12 8 32
Direct
0.892 0.108 0.000 Cd
0.608 0.392 0.500 Cd
0.108 0.892 0.000 Cd
0.392 0.608 0.500 Cd
0.311 0.031 0.443 Cd
0.189 0.469 0.943 Cd
0.531 0.811 0.057 Cd
0.969 0.689 0.557 Cd
0.689 0.969 0.557 Cd
0.811 0.531 0.057 Cd
0.469 0.189 0.943 Cd
0.031 0.311 0.443 Cd
0.819 0.819 0.291 P
0.681 0.681 0.791 P
0.319 0.319 0.209 P
0.181 0.181 0.709 P
0.813 0.313 0.750 P
0.687 0.187 0.250 P
0.187 0.687 0.250 P
0.313 0.813 0.750 P
0.898 0.898 0.127 O
0.602 0.602 0.627 O
0.398 0.398 0.373 O
0.102 0.102 0.873 O
0.883 0.883 0.466 O
0.617 0.617 0.966 O
0.383 0.383 0.034 O
0.117 0.117 0.534 O
0.902 0.374 0.915 O
0.598 0.126 0.415 O
0.874 0.402 0.585 O
0.626 0.098 0.085 O
0.098 0.626 0.085 O
0.402 0.874 0.585 O
0.126 0.598 0.415 O
0.374 0.902 0.915 O
0.820 0.156 0.731 O
0.680 0.344 0.231 O
0.656 0.320 0.769 O
0.844 0.180 0.269 O
0.171 0.338 0.709 O
0.329 0.162 0.209 O
0.838 0.671 0.791 O
0.662 0.829 0.291 O
0.829 0.662 0.291 O
0.671 0.838 0.791 O
0.162 0.329 0.209 O
0.338 0.171 0.709 O
0.156 0.820 0.731 O
0.344 0.680 0.231 O
0.320 0.656 0.769 O
0.180 0.844 0.269 O
```

=====

DFT (PBE) results for a relaxed structure of Li3Ti2P3O12.

Computed properties:
Its crystal system is monoclinic. For the relative energy among the computed polymorphs, the calculation gives 0 meV per atom. As for the total energy: -7.32 eV/atom.

Geometry as POSCAR:
```
Li3Ti2P3O12
1.0
8.791 0.000 0.000
0.000 8.829 0.000
0.000 8.641 12.223
Li Ti P O
12 8 12 48
Direct
0.420 0.381 0.197 Li
0.224 0.972 0.822 Li
0.724 0.028 0.678 Li
0.799 0.327 0.258 Li
0.776 0.028 0.178 Li
0.080 0.381 0.697 Li
0.920 0.619 0.303 Li
0.299 0.673 0.242 Li
0.580 0.619 0.803 Li
0.201 0.673 0.742 Li
0.701 0.327 0.758 Li
0.276 0.972 0.322 Li
0.040 0.137 0.608 Ti
0.960 0.863 0.392 Ti
0.026 0.363 0.892 Ti
0.974 0.637 0.108 Ti
0.460 0.137 0.108 Ti
0.526 0.637 0.608 Ti
0.540 0.863 0.892 Ti
0.474 0.363 0.392 Ti
0.883 0.747 0.650 P
0.753 0.456 0.508 P
0.253 0.544 0.992 P
0.247 0.544 0.492 P
0.397 0.955 0.650 P
0.617 0.747 0.150 P
0.383 0.253 0.850 P
0.897 0.045 0.850 P
0.603 0.045 0.350 P
0.103 0.955 0.150 P
0.747 0.456 0.008 P
0.117 0.253 0.350 P
0.406 0.099 0.833 O
0.687 0.474 0.597 O
0.611 0.224 0.349 O
0.589 0.823 0.028 O
0.813 0.474 0.097 O
0.557 0.872 0.460 O
0.634 0.613 0.932 O
0.330 0.737 0.934 O
0.372 0.535 0.568 O
0.943 0.872 0.960 O
0.089 0.177 0.472 O
0.094 0.099 0.333 O
0.313 0.526 0.403 O
0.411 0.177 0.972 O
0.503 0.412 0.782 O
0.889 0.224 0.849 O
0.497 0.588 0.218 O
0.020 0.089 0.762 O
0.594 0.901 0.167 O
0.980 0.911 0.238 O
0.134 0.387 0.568 O
0.003 0.588 0.718 O
0.443 0.128 0.540 O
0.872 0.465 0.932 O
0.170 0.737 0.434 O
0.111 0.776 0.151 O
0.911 0.823 0.528 O

Looking ahead is what ISIS has been doing all along. The Brussels attacks are just a small step in the collective ISIS effort to force the hand of the overwhelming majority of moderate Muslims, eliminate the so-called “gray zone” and force them to take the side of violent jihad.

The “caliph” of the self-proclaimed Islamic State, Abu Bakr al Baghdadi, spelled out the strategy on May 15 last year, “If the Crusaders today have begun to bother the Muslims who continue to live in the lands of the cross by monitoring them, arresting them, and questioning them, then soon they will begin to displace them and take them away either dead, imprisoned, or homeless.”

In short, tearing up Western society by causing different groups to turn on each other is exactly what ISIS is aiming for. “Further estrangement from one another [Muslims from non-Muslims] is the perfect base for recruitment of terrorists,” says Stockmans.

Stockmans agrees with the analysis that the attacks were precipitated by Abdeslam’s arrest, and “executed prematurely.” But whatever deadline the terrorists set for the Brussels atrocity, the thing to do now is to determine the best response. “We may not be able to prevent some of the planned attacks,” says Stockmans, “but what we can control is our response to it.”

“We should do the opposite of what the terrorists want us to do,” Stockmans says. “They want to undermine the cohesion of our society. We have to remember that terrorism can not undermine a centuries-old process of democratization, only we can do that.”

—Nadette De Visser reported from Amsterdam.